Listing.
┌──
This entry pairs a crystal structure of Rb3NbF12 with its simulated X-ray diffraction stick pattern. Radiation: λ = 1.5418 Å (Cu Kα). Structure: the PBE geometry in Alexandria.
Peak positions follow from Bragg's law for the DFT cell and can differ from measured ones.

```
data_Rb3NbF12
_symmetry_space_group_name_H-M 'P 1'
_symmetry_Int_Tables_number 1
_cell_length_a 8.050
_cell_length_b 8.050
_cell_length_c 7.226
_cell_angle_alpha 90.65
_cell_angle_beta 90.65
_cell_angle_gamma 118.35
loop_
_symmetry_equiv_pos_as_xyz
'x,y,z'
loop_
_atom_site_label
_atom_site_type_symbol
_atom_site_fract_x
_atom_site_fract_y
_atom_site_fract_z
Rb1 Rb 0.000 0.000 0.000
Rb2 Rb 0.000 0.500 0.500
Rb3 Rb 0.500 0.000 0.500
Nb1 Nb 0.000 0.000 0.500
F1 F 0.055 0.227 0.334
F2 F 0.058 0.231 0.668
F3 F 0.096 0.586 0.004
F4 F 0.227 0.055 0.334
F5 F 0.231 0.058 0.668
F6 F 0.414 0.904 0.996
F7 F 0.586 0.096 0.004
F8 F 0.769 0.942 0.332
F9 F 0.773 0.945 0.666
F10 F 0.904 0.414 0.996
F11 F 0.942 0.769 0.332
F12 F 0.945 0.773 0.666
```

Main lines, low angle first (10° ≤ 2θ ≤ 90°):
2theta  Rel. int.
12.25  24
12.50  100
24.64  21
25.14  40
35.15  17
35.96  25



This entry pairs a crystal structure of Rb2NbF6 with its simulated X-ray diffraction stick pattern. Radiation: λ = 1.5418 Å (Cu Kα). Structure: the PBE geometry in Alexandria.
Peak positions follow from Bragg's law for the DFT cell and can differ from measured ones.

```
data_Rb2NbF6
_symmetry_space_group_name_H-M 'P 1'
_symmetry_Int_Tables_number 1
_cell_length_a 6.282
_cell_length_b 6.282
_cell_length_c 4.745
_cell_angle_alpha 90.00
_cell_angle_beta 90.00
_cell_angle_gamma 120.00
loop_
_symmetry_equiv_pos_as_xyz
'x,y,z'
loop_
_atom_site_label
_atom_site_type_symbol
_atom_site_fract_x
_atom_site_fract_y
_atom_site_fract_z
Rb1 Rb 0.333 0.667 0.201
Rb2 Rb 0.667 0.333 0.799
Nb1 Nb 0.000 0.000 0.500
F1 F 0.159 0.319 0.718
F2 F 0.159 0.841 0.718
F3 F 0.319 0.159 0.282
F4 F 0.681 0.841 0.718
F5 F 0.841 0.159 0.282
F6 F 0.841 0.681 0.282
```

Main lines, low angle first (10° ≤ 2θ ≤ 90°):
2theta  Rel. int.
24.90  100
28.41  65
38.13  78
41.52  26
48.23  29
51.08  23



This entry pairs a crystal structure of RbNbF4 with its simulated X-ray diffraction stick pattern. Radiation: λ = 1.5418 Å (Cu Kα). Structure: the PBE geometry in Alexandria.
Peak positions follow from Bragg's law for the DFT cell and can differ from measured ones.

```
data_RbNbF4
_symmetry_space_group_name_H-M 'P 1'
_symmetry_Int_Tables_number 1
_cell_length_a 7.302
_cell_length_b 7.302
_cell_length_c 5.087
_cell_angle_alpha 108.14
_cell_angle_beta 108.14
_cell_angle_gamma 58.78
loop_
_symmetry_equiv_pos_as_xyz
'x,y,z'
loop_
_atom_site_label
_atom_site_type_symbol
_atom_site_fract_x
_atom_site_fract_y
_atom_site_fract_z
Rb1 Rb 0.178 0.178 0.340
Rb2 Rb 0.822 0.822 0.660
Nb1 Nb 0.465 0.465 0.207
Nb2 Nb 0.535 0.535 0.793
F1 F 0.225 0.575 0.468
F2 F 0.261 0.739 0.000
F3 F 0.302 0.302 0.953
F4 F 0.425 0.775 0.532
F5 F 0.575 0.225 0.468
F6 F 0.698 0.698 0.047
F7 F 0.739 0.261 0.000
F8 F 0.775 0.425 0.532
```

Main lines, low angle first (10° ≤ 2θ ≤ 90°):
2theta  Rel. int.
14.43  75
24.85  41
25.72  100
38.69  49
41.19  22
44.29  31



This entry pairs a crystal structure of Rb3NbF8 with its simulated X-ray diffraction stick pattern. Radiation: λ = 1.5418 Å (Cu Kα). Structure: the PBE geometry in Alexandria.
Peak positions follow from Bragg's law for the DFT cell and can differ from measured ones.

```
data_Rb3NbF8
_symmetry_space_group_name_H-M 'P 1'
_symmetry_Int_Tables_number 1
_cell_length_a 6.076
_cell_length_b 6.076
_cell_length_c 6.076
_cell_angle_alpha 90.00
_cell_angle_beta 90.00
_cell_angle_gamma 90.00
loop_
_symmetry_equiv_pos_as_xyz
'x,y,z'
loop_
_atom_site_label
_atom_site_type_symbol
_atom_site_fract_x
_atom_site_fract_y
_atom_site_fract_z
Rb1 Rb 0.000 0.000 0.500
Rb2 Rb 0.000 0.500 0.000
Rb3 Rb 0.500 0.000 0.000
Nb1 Nb 0.500 0.500 0.500
F1 F 0.303 0.303 0.303
F2 F 0.303 0.303 0.697
F3 F 0.303 0.697 0.303
F4 F 0.303 0.697 0.697
└──
Job.
Your job: copy only the lines further up with the word "angle" in them.
Reply.
Main lines, low angle first (10° ≤ 2θ ≤ 90°):
Main lines, low angle first (10° ≤ 2θ ≤ 90°):
Main lines, low angle first (10° ≤ 2θ ≤ 90°):